Please filter the block below: keep the lines with the word "down".

-- begin --
# 1
C4H11NS in the gas phase, computed with ωB97M-V/def2-TZVPD.

The geometry in XYZ format:
```
17
C4H11NS ωB97M-V/def2-TZVPD
N 0.4735 -2.0951 1.2033
C -0.5218 -1.0403 1.1354
C 0.0243 0.3702 0.9148
C 0.7378 0.5796 -0.4106
C -0.1840 0.6529 -1.6026
S -1.3459 2.0531 -1.4639
H 0.7247 -2.3804 2.1345
H 1.3195 -1.8673 0.7018
H -1.2637 -1.2906 0.3705
H -1.1156 -1.0242 2.0533
H -0.8144 1.0618 1.0167
H 0.6527 0.6139 1.7791
H 1.4467 -0.2365 -0.5511
H 1.3670 1.4637 -0.3717
H -0.7750 -0.2508 -1.7410
H 0.3988 0.7719 -2.5146
H -1.1248 2.6180 -2.6539
```

## Properties
- SMILES = NCCCCS
- total energy (eV) = -16651.55395
- HOMO-LUMO gap (eV) = 9.92
- relative energy (zero: lowest compared OMol25 entry of this formula, charge and spin) (kcal per mole) = 5.5

=====

# 2
2 unconnected molecules or ions with the total composition C4H12 at a distorted geometry, computed with ωB97M-V/def2-TZVPD.

The geometry in XYZ format:
```
16
C4H12 ωB97M-V/def2-TZVPD
C -1.7977 -0.6394 1.2858
C -2.7355 -1.2549 0.2424
H -2.3802 -0.2335 2.1144
H -1.0228 -1.3060 1.6614
H -1.2607 0.1978 0.8289
H -2.3781 -1.0562 -0.7735
H -2.9865 -2.3004 0.3691
H -3.5726 -0.5381 0.1934
C 1.9821 0.7848 -1.4725
C 2.5931 1.0208 -0.0742
H 0.8987 0.7738 -1.3083
H 2.0792 1.5753 -2.2115
H 2.3583 -0.1565 -1.8529
H 3.6419 1.3046 0.0144
H 2.5324 0.0697 0.4615
H 2.0484 1.7582 0.5217
```

## Properties
- SMILES = CC.CC
- total energy (eV) = -4342.09956
- HOMO-LUMO gap (eV) = 12.58
- relative energy (zero: lowest compared OMol25 entry of this formula, charge and spin) (kcal per mole) = 9.9

=====

# 3
A molecular structure, C32H45NOOsPS4Si at a distorted geometry, computed with ωB97M-V/def2-TZVPD.

The geometry in XYZ format:
```
86
C32H45NOOsPS4Si ωB97M-V/def2-TZVPD
Os -0.9175 0.5868 0.5642
S -3.1378 0.0122 0.2612
S -4.3596 1.5895 0.6241
S -3.4979 3.2389 -0.2992
S -1.5572 3.0320 -0.3122
C -1.8260 3.2411 3.1826
C -2.1324 1.8572 3.7730
C -2.0693 1.9463 5.3026
P -1.1472 0.4996 3.0014
C 0.5342 0.4044 3.7714
C 0.6590 -0.2842 5.1309
C 1.1744 1.7980 3.8296
C -2.0398 -1.0959 3.3129
C -1.1783 -2.2464 2.7733
C -2.5966 -1.4303 4.6986
H -2.6986 3.8865 3.2872
H -1.5664 3.2059 2.1252
H -1.0021 3.7155 3.7140
H -3.1512 1.5820 3.4732
H -1.0977 2.3125 5.6313
H -2.2693 1.0109 5.8111
H -2.8149 2.6713 5.6333
H 1.0956 -0.1940 3.0466
H 0.0525 0.1950 5.8965
H 1.7012 -0.2221 5.4509
H 0.3990 -1.3381 5.0872
H 0.7672 2.3761 4.6578
H 1.0292 2.3739 2.9159
H 2.2464 1.6934 4.0071
H -2.9040 -0.9935 2.6537
H -0.3713 -2.4962 3.4634
H -0.7280 -2.0178 1.8019
H -1.7922 -3.1378 2.6426
H -1.8483 -1.4344 5.4854
H -3.0215 -2.4347 4.6475
H -3.4052 -0.7621 4.9847
N 1.0876 0.8427 0.7256
C 2.2185 0.8577 0.5252
C 3.6237 0.8777 0.2621
C 4.4681 1.5470 1.1516
C 5.8277 1.5573 0.9056
C 6.3345 0.9135 -0.2177
C 5.4877 0.2591 -1.1028
C 4.1248 0.2355 -0.8700
H 4.0543 2.0519 2.0138
H 6.4927 2.0701 1.5862
H 7.3994 0.9279 -0.4064
H 5.8892 -0.2331 -1.9775
H 3.4477 -0.2564 -1.5567
C -1.6397 -2.9758 -1.5241
C -0.2986 -2.5263 -2.1192
C 0.1018 -3.4531 -3.2716
C 0.7885 -2.6134 -1.0419
Si -0.4620 -0.7085 -2.6523
O -0.5301 0.1752 -1.2664
C -2.0064 -0.3485 -3.6426
C -2.6582 0.8665 -3.4019
C -3.7838 1.2400 -4.1218
C -4.2818 0.4005 -5.1075
C -3.6484 -0.8056 -5.3693
C -2.5232 -1.1739 -4.6445
C 1.0468 -0.1342 -3.5955
C 1.9316 0.7783 -3.0135
C 3.0462 1.2440 -3.7002
C 3.2895 0.8056 -4.9929
C 2.4155 -0.0902 -5.5956
C 1.3052 -0.5511 -4.9046
H -1.5787 -4.0161 -1.1869
H -2.4516 -2.9083 -2.2491
H -1.9154 -2.3653 -0.6582
H 0.2313 -4.4735 -2.8960
H 1.0461 -3.1489 -3.7252
H -0.6554 -3.4997 -4.0533
H 0.8477 -3.6330 -0.6464
H 0.5877 -1.9442 -0.2003
H 1.7703 -2.3639 -1.4551
H -2.2685 1.5301 -2.6384
H -4.2695 2.1865 -3.9200
H -5.1581 0.6870 -5.6739
H -4.0303 -1.4604 -6.1417
H -2.0524 -2.1212 -4.8704
H 1.7292 1.1407 -2.0104
H 3.7158 1.9558 -3.2334
H 4.1507 1.1713 -5.5365
H 2.5964 -0.4214 -6.6098
H 0.6276 -1.2378 -5.3993
```

## Properties
- total energy (eV) = -100423.61154
- total charge = +1
- ⟨S²⟩ = 6.02
- HOMO-LUMO gap (spin up / spin down) (eV) = 7.95 / 6.06
-- stop --

- HOMO-LUMO gap (spin up / spin down) (eV) = 7.95 / 6.06